_Contents_
'''
(1)
Diffraction record for Ho8Er3Pu. The X-ray powder pattern is calculated, not measured: it uses a structure optimized by DFT (GGA-PBE) and Cu Kα (weighted mean of Kα1 and Kα2).
Neutral-atom scattering factors, no anomalous dispersion.

Lattice parameters (Å, degrees): 8.559 8.559 11.304 90.00 90.00 90.00
Space group I-42m (No. 121)
Symmetry-distinct sites (fractional):
Ho 0.127 0.127 0.232 (multiplicity 8)
Ho 0.231 0.231 0.967 (multiplicity 8)
Er 0.000 0.000 0.500 (multiplicity 2)
Er 0.000 0.500 0.250 (multiplicity 4)
Pu 0.000 0.000 0.000 (multiplicity 2)

Main lines, low angle first (2θ = 10–90°):
d/Å	I (rel.)	hkl
6.052	31	1 1 0
4.131	36	1 1 2
3.625	46	2 1 1
3.412	26	2 0 2
3.026	70	2 2 0
2.826	50	0 0 4
2.685	31	2 1 3
2.441	100	3 1 2
2.065	37	2 2 4
2.001	37	4 0 2
1.609	30	5 1 2
1.546	33	3 1 6

=====

(2)
Diffraction record for Ho9Er4Pu. The X-ray powder pattern is calculated, not measured: it uses a structure optimized by DFT (GGA-PBE) and Cu Kα (weighted mean of Kα1 and Kα2).
Neutral-atom scattering factors, no anomalous dispersion.

Lattice parameters (Å, degrees): 9.6200 9.6200 10.9568 90.00 90.00 120.00
Space group P6_3/mmc (No. 194)
Symmetry-distinct sites (fractional):
Ho 0.0742 0.5371 0.2500 (multiplicity 6)
Ho 0.2095 0.4190 0.5324 (multiplicity 12)
Er 0.0000 0.0000 0.0000 (multiplicity 2)
Er 0.1122 0.2244 0.2500 (multiplicity 6)
Pu 0.3333 0.6667 0.7500 (multiplicity 2)

Main lines, low angle first (2θ = 10–90°):
d/Å	I (rel.)	hkl
3.894	12	2 0 1
2.743	55	0 0 4
2.730	100	2 1 2
2.692	36	3 0 1
2.405	12	2 2 0
1.952	10	3 1 3
1.720	23	3 0 5
1.603	17	3 3 0
1.594	19	5 0 2
1.580	10	2 1 6
1.384	23	3 3 4
1.130	10	6 2 2


No. 1
Starting from a cell relaxed with PBE, the X-ray diffraction stick pattern of Hf3TiPt2S was computed for Cu Kα.
Lines closer than 0.1° are merged.

Peak list (12 most intense, 2θ = 10–90°, most intense first)
| index | 2theta | I_rel |
| --- | --- | --- |
| 0 2 0 | 38.7 | 100 |
| 1 1 2 | 30.9 | 61 |
| 1 1 0 | 27.9 | 61 |
| 1 0 5 | 38.9 | 48 |
| 2 0 0 | 41.0 | 36 |
| 1 2 5 | 56.1 | 34 |
| 2 2 0 | 57.7 | 27 |
| 0 1 1 | 20.2 | 23 |
| 0 1 5 | 38.3 | 22 |
| 2 1 5 | 57.3 | 13 |
| 0 0 6 | 39.7 | 11 |
| 3 2 5 | 86.1 | 10 |

Crystal structure
```
data_Hf3TiPt2S
_chemical_formula_sum 'Hf6 Ti2 Pt4 S2'
_cell_length_a 4.404
_cell_length_b 4.649
_cell_length_c 13.612
_cell_angle_alpha 90.00
_cell_angle_beta 90.00
_cell_angle_gamma 90.00
_space_group_name_H-M_alt 'I m m m'
_space_group_IT_number 71
_space_group_name_Hall '-I 2 2'
loop_
_atom_site_label
_atom_site_fract_x
_atom_site_fract_y
_atom_site_fract_z
_atom_site_occupancy
Hf1 0.000 0.000 0.000 1
Hf2 0.000 0.500 0.187 1
Ti1 0.000 0.000 0.500 1
Pt1 0.000 0.500 0.374 1
S1 0.000 0.500 0.000 1
```

---

No. 2
Starting from a cell relaxed with PBE, the X-ray diffraction stick pattern of AcAg4Au3O12 was computed for Cu Kα.
Lines closer than 0.1° are merged.

Peak list (12 most intense, 2θ = 10–90°, most intense first)
| index | 2theta | I_rel |
| --- | --- | --- |
| 2 2 0 | 31.4 | 100 |
| 4 2 2 | 55.9 | 45 |
| 4 0 0 | 45.0 | 22 |
| 6 2 0 | 74.5 | 18 |
| 4 4 0 | 65.6 | 13 |
| 2 0 0 | 22.1 | 9 |
| 2 2 2 | 38.7 | 5 |
| 4 4 4 | 83.1 | 5 |
| 4 0 2 | 50.7 | 4 |
| 6 0 0 | 70.1 | 3 |
| 6 4 0 | 87.3 | 1 |
| 6 2 2 | 78.8 | 1 |

Crystal structure
```
data_AcAg4Au3O12
_chemical_formula_sum 'Ac2 Ag8 Au6 O24'
_cell_length_a 8.052
_cell_length_b 8.052
_cell_length_c 8.052
_cell_angle_alpha 90.00
_cell_angle_beta 90.00
_cell_angle_gamma 90.00
_space_group_name_H-M_alt 'I m -3'
_space_group_IT_number 204
_space_group_name_Hall '-I 2 2 3'
loop_
_atom_site_label
_atom_site_fract_x
_atom_site_fract_y
_atom_site_fract_z
_atom_site_occupancy
Ac1 0.000 0.000 0.000 1
Ag1 0.250 0.250 0.250 1
Au1 0.000 0.000 0.500 1
O1 0.000 0.307 0.164 1
```

---

No. 3
Starting from a cell relaxed with PBE, the X-ray diffraction stick pattern of La2ScCl was computed for Cu Kα.
Lines closer than 0.1° are merged.

Peak list (12 most intense, 2θ = 10–90°, most intense first)
| index | 2theta | I_rel |
'''
_Job_
Now search the material above for the word "PBE" and restate each line that has it.
_Here it is_
Starting from a cell relaxed with PBE, the X-ray diffraction stick pattern of Hf3TiPt2S was computed for Cu Kα.
Starting from a cell relaxed with PBE, the X-ray diffraction stick pattern of AcAg4Au3O12 was computed for Cu Kα.
Starting from a cell relaxed with PBE, the X-ray diffraction stick pattern of La2ScCl was computed for Cu Kα.